What Trump's 's---hole' comments could mean for travel ban 3.0
— -- As President Trump’s words are being widely condemned, some legal experts believe that the “s---hole” remark could also impact his case for the travel ban.
But given his previous call for a “Muslim ban” and other public statements, other experts aren’t sure this latest comment makes much legal difference.
Attorneys fighting the president’s executive action restricting travel in court, connected the president’s latest comment to what they says is a “racist” ideology.
“The travel ban is a de facto quota – a return to a discredited national origin quota system that was in our law until Congress wisely abolished it in 1965,” said Peter Margulies, professor at Roger Williams School of Law. Yesterday’s alleged statement “couldn’t have been a clearer example of what Congress wanted to abolish.”
According to Margulies, the latest travel ban should be struck down in court on statutory grounds as a violation of a 1965 immigration law prohibiting discrimination based on national origin.
In other words, Trump’s comments further clarified what was already unlawful about the ban, he said.
On Thursday during a bipartisan meeting on immigration reform in the Oval Office, the president asked those in the room why they would want people from Haiti, Africa and other "s---hole countries" coming into the United States, according to multiple sources either briefed on or familiar with the discussion.
Trump denied that he used "derogatory" language about Haitians, but did not specifically address the comments.
“The president has interjected race and ethnicity into the making of immigration policy in a way this country hasn’t seen since the 1920s,” said Hiroshi Motomura, professor at UCLA School of Law and author of two award-winning books on immigration law and policy.
"Yesterday’s statement makes it more reasonable for courts to decide that the travel ban can be struck down as unlawful — beyond the president’s authority under immigration statutes, and as unconstitutional — without necessarily intruding on the national security authority of a president who exercises that authority in a nondiscriminatory and rational way.” said Motomura.
The U.S. Supreme Court ruled in December that the travel ban, currently in its third iteration, could go into effect while the lower courts continued to hear appeals in the cases.
Later that month, a 9th Circuit Court of Appeals panel upheld a Hawaii district court injunction against travel ban 3.0, agreeing with the lower court that the policy violates federal immigration law and exceeds the authority of the executive branch.

But the ban remained in effect, pending the final U.S. Supreme Court review.
'''
Record 1
Below is a cluster of 18 separate species, C63H198N45O18P9 in total, with properties calculated with ωB97M-V/def2-TZVPD.

## Properties
energy above the lowest of the compared OMol25 structures with the same formula, charge and spin = 0.00 kcal/mol
HOMO = -8.495 eV
HOMO-LUMO gap = 8.780 eV

```
333
C63H198N45O18P9 ωB97M-V/def2-TZVPD
O -0.695 -5.176 -3.054
P 0.579 -5.669 -3.642
N 0.437 -7.343 -3.545
C -0.375 -8.104 -2.558
C 1.430 -8.181 -4.244
N 1.908 -5.020 -2.869
C 1.686 -4.681 -1.495
C 3.269 -5.201 -3.379
N 0.686 -5.325 -5.320
C 1.495 -4.276 -5.897
C -0.567 -5.589 -5.998
H 0.317 -8.743 -1.984
H -1.078 -8.630 -3.170
H -0.849 -7.456 -1.860
H 2.095 -8.734 -3.580
H 2.078 -7.608 -4.898
H 0.861 -8.936 -4.859
H 0.743 -4.159 -1.288
H 1.676 -5.458 -0.769
H 2.440 -4.003 -1.215
H 3.971 -4.352 -3.092
H 3.683 -6.064 -2.891
H 3.241 -5.438 -4.443
H 2.279 -3.966 -5.225
H 2.002 -4.623 -6.837
H 0.808 -3.473 -6.235
H -1.194 -6.321 -5.532
H -0.299 -6.146 -6.905
H -1.042 -4.612 -6.190
O 3.247 8.411 -2.859
P 2.367 7.441 -2.224
N 3.215 6.094 -1.925
C 3.995 5.698 -3.054
C 2.733 4.998 -1.148
N 1.043 7.176 -3.098
C 0.840 7.816 -4.343
C -0.139 6.460 -2.708
N 1.845 7.798 -0.641
C 2.814 7.868 0.457
C 0.862 8.806 -0.458
H 3.365 5.458 -3.928
H 4.624 4.784 -2.885
H 4.655 6.552 -3.369
H 1.860 4.511 -1.577
H 2.619 5.357 -0.126
H 3.524 4.275 -1.000
H 0.436 7.025 -5.051
H 0.020 8.548 -4.299
H 1.831 8.216 -4.754
H -0.257 6.550 -1.607
H -1.006 6.827 -3.271
H -0.042 5.409 -2.934
H 3.515 7.034 0.552
H 3.486 8.737 0.526
H 2.226 7.761 1.384
H 0.223 8.769 0.391
H 0.155 8.802 -1.274
H 1.288 9.822 -0.450
O -4.305 2.252 5.213
P -3.120 3.011 5.622
N -1.913 1.870 5.995
C -2.164 0.446 6.112
C -0.568 2.374 5.864
N -3.264 3.780 7.099
C -4.309 4.728 7.387
C -2.863 3.029 8.256
N -2.710 4.119 4.523
C -1.793 5.251 4.695
C -2.780 3.832 3.063
H -3.164 0.245 5.802
H -2.118 0.098 7.139
H -1.397 -0.151 5.543
H -0.221 2.757 4.813
H 0.103 1.517 6.025
H -0.326 3.194 6.583
H -5.124 4.281 7.937
H -3.831 5.529 7.937
H -4.780 5.120 6.445
H -2.973 3.651 9.181
H -3.513 2.197 8.443
H -1.834 2.769 8.268
H -2.199 6.143 4.306
H -1.589 5.512 5.723
H -0.797 5.097 4.265
H -3.421 3.012 2.867
H -1.706 3.671 2.732
H -3.200 4.681 2.538
O 0.402 0.874 -5.736
P 1.538 1.583 -6.280
N 2.709 0.662 -7.062
C 3.099 -0.511 -6.244
C 2.299 0.062 -8.389
N 2.381 2.219 -5.031
C 3.786 2.602 -5.087
C 1.555 3.146 -4.161
N 1.097 2.617 -7.502
C 2.049 3.495 -8.148
C -0.327 3.035 -7.683
H 4.169 -0.805 -6.335
H 2.488 -1.400 -6.514
H 2.993 -0.161 -5.170
H 2.204 0.828 -9.180
H 1.409 -0.566 -8.293
H 3.128 -0.596 -8.629
H 4.207 2.669 -4.065
H 4.333 1.930 -5.732
H 3.901 3.525 -5.607
H 1.482 4.153 -4.647
H 0.617 2.619 -3.910
H 2.258 3.237 -3.299
H 2.015 3.387 -9.224
H 1.896 4.490 -7.753
H 3.087 3.168 -7.940
H -0.296 4.124 -7.998
H -0.849 2.928 -6.745
H -0.842 2.543 -8.543
O 9.294 1.164 -0.294
P 8.371 1.804 -1.273
N 8.667 1.598 -2.858
C 9.550 2.461 -3.672
C 8.736 0.173 -3.412
N 8.423 3.431 -1.102
C 9.734 3.944 -0.626
C 7.502 4.441 -1.592
'''
The calculated molecules stop here:
Another appeal that was heard in the 4th Circuit is still awaiting a ruling.
Yale Law School professor Peter Schuck said he thinks the Court will be “very reluctant to take into account informal comments made in a closed political bargaining session a year after the ban was imposed and not relating to Muslims.”
Schuck believes Trump’s call for a “Muslim ban” was more legally fraught than his alleged "s---hole" comment, and so he “can’t see the courts focusing on this particular languages as being important, as odious as it is.”

Similarly, Josh Blackman, a constitutional law expert at South Texas College of Law Houston, said "I don't think these statements, as odious as they are, have any bearing on this case."
"As a general matter, I think the president statements are fair game, but in the context of foreign policy judges have to be deferential to the president,” he added.
**Here the piece breaks off for data records**
********
1.
Here is C19H27NO7PS2Tc as an isolated structure from the Open Molecules 2025 dataset. Energies are from ωB97M-V/def2-TZVPD.

Last column: Löwdin charge in e.
Positions of all 58 atoms, in Å:
1 Tc -0.05756 -0.60030 1.20683  1.36
2 C 6.61731 -2.99806 -1.71497  -0.04
3 O 5.73172 -2.05944 -1.09957  -0.04
4 C 4.47721 -2.42400 -0.85334  -0.25
5 C 3.94521 -3.68783 -1.16447  0.02
6 C 2.63199 -3.94850 -0.86780  0.01
7 C 1.79052 -2.99748 -0.26124  -0.10
8 C 0.41963 -3.30504 0.00765  -0.31
9 C -0.16407 -4.65438 -0.26915  0.02
10 O -0.37736 -2.45922 0.47918  -0.15
11 C 2.36236 -1.74305 0.05107  -0.24
12 O 1.68375 -0.74487 0.67946  -0.24
13 C 3.67569 -1.45847 -0.24349  0.10
14 H 7.56807 -2.48493 -1.80704  0.10
15 H 6.25458 -3.27885 -2.70432  0.10
16 H 6.73623 -3.88333 -1.08949  0.10
17 H 4.54756 -4.45025 -1.63268  0.11
18 H 2.23836 -4.92374 -1.11778  0.12
19 H 0.33117 -5.40418 0.34992  0.11
20 H -0.02528 -4.93000 -1.31458  0.10
21 H -1.22372 -4.64142 -0.03563  0.10
22 H 4.08562 -0.48896 0.00070  0.15
23 C -0.59350 3.84323 -3.53731  -0.04
24 C -1.06098 2.49060 -3.05477  -0.46
25 C -2.07746 1.82785 -3.95419  -0.04
26 O -1.71962 2.69267 -1.75067  -0.33
27 P -1.02028 2.28030 -0.39660  -0.10
28 S 0.85529 2.58253 -0.22380  0.36
29 S -1.40382 0.16781 -0.38197  0.42
30 O -1.91814 2.91889 0.71586  -0.29
31 C -3.33741 3.31708 0.66754  -0.40
32 C -3.47459 4.64129 -0.04981  -0.04
33 C -4.21415 2.21415 0.11434  -0.06
34 H -0.11472 3.74038 -4.51186  0.09
35 H 0.12523 4.27099 -2.83992  0.07
36 H -1.44140 4.52208 -3.63807  0.09
37 H -0.20280 1.83569 -2.89173  0.11
38 H -2.94954 2.47033 -4.08134  0.09
39 H -2.40289 0.87249 -3.54203  0.08
40 H -1.63592 1.64794 -4.93461  0.09
41 H -3.55727 3.45105 1.72639  0.14
42 H -3.30967 4.52973 -1.11949  0.08
43 H -2.76403 5.36500 0.34689  0.09
44 H -4.48266 5.02712 0.10767  0.09
45 H -4.01891 2.04005 -0.94383  0.07
46 H -5.25841 2.50946 0.22073  0.09
47 H -4.06998 1.28565 0.66663  0.07
48 O -0.73831 -3.02000 4.18628  0.14
49 C -0.66509 -1.83216 4.23825  -0.44
50 C -0.76595 -0.93382 5.47309  -0.05
51 C -0.69439 0.51539 4.96208  -0.05
52 C -0.46025 0.31826 3.50289  -0.47
53 O -0.30459 1.11748 2.55823  -0.08
54 N -0.44043 -0.97527 3.13325  -0.01
55 H 0.06230 -1.18737 6.13362  0.13
56 H -1.68898 -1.16368 6.00098  0.13
57 H 0.11261 1.10568 5.39498  0.14
58 H -1.61831 1.07736 5.10301  0.14

Results
Electronic energy (eV): -69119.2313
Largest force on an atom (eV/Å): 0.61
Multiplicity: 2
Frontier orbital gap (spin up / spin down) (eV): 7.0 / 7.1
<S²>: 0.756
Net charge: +1

2.
Here is C19H28BBr26NO8S2 as an isolated structure from the Open Molecules 2025 dataset. Energies are from ωB97M-V/def2-TZVPD.

Last column: Löwdin charge in e.
Positions of all 85 atoms, in Å:
1 C 1.66509 4.45842 -1.06594  -0.13
2 C 0.31945 5.28194 -0.66276  -0.61
3 Br -0.44144 6.48426 -2.12598  0.58
4 C -0.35198 5.15676 0.65598  -0.45
5 Br -2.06912 6.25799 0.77707  0.68
6 C 0.17592 4.18175 1.91096  -0.30
7 C -0.06175 2.67762 1.36486  -0.11
********
**The piece goes on**
Meanwhile, Neal Kaytal, who is the lead lawyer in the Hawaii travel ban challenge, and has a brief due at the Supreme Court today, took to Twitter in the wake of Trump’s comment.
“Past immigration decisions have been made by Presidents who have not harbored this sort of animus. It is a daunting, and un-American, thing to have a President who not only says such vile comments, but acts on them,” he told ABC News when asked if he could expand on his tweet. Omar Jadwat, director of the ACLU’s Immigrants’ Rights Project, who litigated the 4th Circuit appeal, said the “s---hole” comment was “more fuel on the fire.”
“I think it’s further confirmation that prejudice and racism underlie a lot of the president's approach to foreign policy,” he said.
The Department of Justice, which is responsible for defending the president’s policies in court, did not provide a comment on the matter.
James Hill and Jack Date contributed to this story.